Mar 4, 2024
Stretching along Twolegplace's border, prey scent wafts toward him. A blessing, certainly, as the continues to sink into frostbite. Hunger does not quite gnaw at his belly yet, but it was an inevitability was it not? Candorpaw stalks forward, a motion he could be confident in, by now. He cannot make out any rustling in the grass, though... All seems silent, aside from the distant shuffling of his own patrolmates. He follows his nose and his nose alone, and though what he smells is undeniably prey, with closeness, so too does the smell of blood shine through.

He does not right himself just yet. No... were the case one of little concern— a squirrel that's grazed its paw whilst rooting for seeds, perhaps... it'd be rather devastating to lose out on it. His tail is raised just above the ground, a verdant gaze is hard in concentration, and yet there is this undeniable truth to the scent that gives him pause... He straightens at last as his nose brings him to quite the sight: buried prey. Though, perhaps to say it was buried would be quite the overstatement. Haphazardly tossed aside, more like, dirt kicked over it as if it were an afterthought... The earth itself is darkened with blood, nearly soaked through. ...No wonder the scent had been as strong as it was.

Warily, he prods at it, uncovering the little bit of earth that it had been buried beneath. He'd considered the possibility... sniffed for any signs of clanmates outside of this very patrol. Perhaps as he thought this, a young apprentice's first outing has commenced... Or perhaps not a young apprentice, but a lazy one... Twice the surprise, though, is the condition of the squirrel. His tail flicks. A steadfast voice sounds in mild alarm. " Twitchbolt! Friends- glimpse this, won't you? "

The kill is brutal, a far cry from the quick snap of the neck any apprentice would be taught on their first outing. Dried blood crusts nearly the entirety of the skull. embedded in it are wolfish bites, as if an attempt had been made to eat it alive, but no... It is merely speared, not eaten. Flayed and left behind... " It is... sloppily done. " A contemplative frown tugs at a pale mask of a face... Who would've done this?, he wonders.

# Attached: records of crystals
____________
NbCrN3, relaxed, DFT GGA-PBE; space-group type = P4/nmm (129); DFT total energy = -91.22 eV per cell; volume = 113.2 Å³/cell; energy of formation = -37.2 kJ/mol of atoms
1.0
3.4415 0.0000 0.0000
0.0000 3.4415 0.0000
0.0000 0.0000 9.5608
Nb Cr N
2 2 6
direct
0.2500 0.2500 0.1210
0.7500 0.7500 0.8790
0.2500 0.2500 0.5877
0.7500 0.7500 0.4123
0.2500 0.2500 0.7700
0.2500 0.7500 0.0000
0.2500 0.7500 0.5000
0.7500 0.2500 0.0000
0.7500 0.2500 0.5000
0.7500 0.7500 0.2300

----------

(1)
# SmMg5

A relaxed structure of SmMg5 (meta-GGA r2SCAN, the Materials Project database).

It has space group C2/m (No. 12), with a = 14.148 Å, b = 3.194 Å, c = 6.734 Å, α = 90.00°, β = 103.03° and γ = 90.00°. The distinct sites, in fractional coordinates, are Sm at (0.000, 0.000, 0.000), Mg at (0.000, 0.000, 0.500), Mg at (0.169, 0.500, 0.343) and Mg at (0.174, 0.500, 0.830).

For the formation energy from the elements, the calculation gives -2 meV per atom. The total energy comes out at -8.432 eV/atom.

---

(2)
# NdZnSn

A relaxed structure of NdZnSn (meta-GGA r2SCAN, the Materials Project database).

It has space group P6_3/mmc (No. 194), with a = 4.5239 Å, b = 4.5239 Å, c = 16.7967 Å, α = 90.00°, β = 90.00° and γ = 120.00°. The distinct sites, in fractional coordinates, are Nd at (0.0000, 0.0000, 0.0000), Nd at (0.0000, 0.0000, 0.2500), Zn at (0.3333, 0.6667, 0.1574) and Sn at (0.3333, 0.6667, 0.6164).

For the formation energy from the elements, the calculation gives -737 meV per atom. The total energy comes out at -21.762 eV/atom.

---

(3)
# ErBiRh

A relaxed structure of ErBiRh (meta-GGA r2SCAN, the Materials Project database).

It has space group P-62m (No. 189), with a = 7.5777 Å, b = 7.5777 Å, c = 3.9445 Å, α = 90.00°, β = 90.00° and γ = 120.00°. The distinct sites, in fractional coordinates, are Er at (0.0000, 0.6013, 0.0000), Bi at (0.0000, 0.2670, 0.5000), Rh at (0.0000, 0.0000, 0.0000) and Rh at (0.3333, 0.6667, 0.5000).

For the formation energy from the elements, the calculation gives -811 meV per atom. The total energy comes out at -39.665 eV/atom.

---

(4)
# HoInNi4

A relaxed structure of HoInNi4 (meta-GGA r2SCAN, the Materials Project database).

It has space group F-43m (No. 216), with a = 6.964 Å, b = 6.964 Å, c = 6.964 Å, α = 90.00°, β = 90.00° and γ = 90.00°. The distinct sites, in fractional coordinates, are Ho at (0.000, 0.000, 0.000), In at (0.250, 0.250, 0.250) and Ni at (0.124, 0.124, 0.624).

For the formation energy from the elements, the calculation gives -389 meV per atom. The total energy comes out at -17.620 eV/atom.

---

(5)
# Li2Pt

A relaxed structure of Li2Pt (meta-GGA r2SCAN, the Materials Project database).

It has space group P6/mmm (No. 191), with a = 4.1721 Å, b = 4.1721 Å, c = 2.6425 Å, α = 90.00°, β = 90.00° and γ = 120.00°. The distinct sites, in fractional coordinates, are Li at (0.3333, 0.6667, 0.0000) and Pt at (0.0000, 0.0000, 0.5000).
____________
# Here the page continues

OOC: I'm sleepy and forgot to say the scene likely smells faintly of kittypet :3c Mentor tag: @TWITCHBOLT
  • Nervous
Reactions: Florabreeze

It's not uncommon for the common scents of twolegplace to linger around the border it shares with SkyClan. Twolegs, Kittypets, Rogues, even the fumes that exude from monsters across the thunderpath travel to the border. It's a pollution, one that she's used to due to her daylighter position. That being said, the faint smell of kittypet on the squirrel that Candorpaw has found is troubling. That shouldn't be on this side of the border, much less mangled in such a manner. She dips her head down, taking in the sight of it with a scrutinizing gaze. "And you found it... Right here? You haven't moved it at all?" She doubts he would have, not intentionally anyways.

_Misplaced data records_
........
1.
68
Lattice="8.714 0.000 0.000 0.000 8.767 0.000 -8.613 0.000 12.135" Properties=species:S:1:pos:R:3 comment="Fe2P3O12, optimized geometry, DFT GGA+U" space_group="P2_1/c (14)" de_polymorph_mev_per_atom=7 pbc="T T T"
Fe -2.136 0.301 4.623
Fe -6.442 4.083 10.690
Fe 2.193 0.303 1.422
Fe -2.114 4.081 7.489
Fe 2.215 4.687 4.646
Fe -2.092 8.464 10.714
Fe 6.543 4.685 1.445
Fe 2.236 8.466 7.513
P 0.296 6.579 0.049
P -4.010 6.572 6.116
P -5.192 0.978 10.358
P -0.885 3.405 4.290
P -3.348 5.343 10.380
P 0.958 7.807 4.312
P -0.857 0.960 7.823
P 3.449 3.424 1.755
P 0.986 5.362 7.845
P 5.293 7.789 1.778
P 4.111 2.195 6.019
P -0.196 2.188 12.087
O -0.590 5.916 1.128
O -4.897 7.235 7.195
O -7.695 5.520 11.263
O -3.388 7.630 5.195
O -6.007 0.082 9.406
O -1.700 4.302 3.338
O 0.534 1.244 0.831
O -3.772 3.140 6.899
O -1.136 1.908 4.001
O -5.443 2.476 10.068
O -2.883 5.814 6.834
O 1.424 7.337 0.766
O -4.880 5.331 10.568
O -0.574 7.819 4.500
O -5.580 0.637 11.801
O -1.273 3.746 5.733
O -1.518 0.504 6.510
O 2.789 3.879 0.442
O -3.693 0.742 10.119
O 0.614 3.642 4.052
O 1.364 0.012 3.195
O -2.943 4.372 9.263
O 1.425 6.387 3.945
O -2.881 6.764 10.012
O 2.982 2.003 2.123
O -1.325 2.381 8.191
O 3.043 4.395 2.873
O -1.263 8.756 8.940
O -0.513 5.125 8.084
O 3.793 8.025 2.016
O -2.688 4.888 11.693
O 1.619 8.263 5.626
O 1.374 5.021 6.402
O 5.680 8.130 0.335
O 0.675 0.948 7.635
O 4.981 3.436 1.567
O -1.323 1.431 11.369
O 2.983 2.953 5.301
O 5.544 6.291 2.067
O 1.237 6.859 8.135
O 3.873 5.628 5.236
O -0.433 7.523 11.304
O 1.801 4.465 8.797
O 6.108 8.685 2.730
O 3.489 1.137 6.940
O 7.795 3.247 0.873
O 4.997 1.533 4.940
O 0.691 2.851 11.008

2.
48
Lattice="5.232 0.000 0.000 0.085 6.043 0.000 0.342 2.186 16.101" Properties=species:S:1:pos:R:3 comment="Li8Mn5Fe3B8O24, optimized geometry, DFT GGA+U" space_group="P1 (1)" de_polymorph_mev_per_atom=3 pbc="T T T"
Li 0.000 0.000 0.000
Li 0.215 4.107 8.057
Li 1.069 2.332 0.510
Li 1.294 6.446 8.574
Li 2.719 2.046 4.046
Li 2.935 6.165 12.075
Li 3.931 2.452 12.579
Li 3.802 4.388 4.562
Mn 0.365 5.030 10.989
Mn 0.158 0.914 2.939
Mn 2.871 2.972 6.960
Mn 3.084 7.087 14.998
Mn 3.645 3.465 1.643
Fe 1.157 5.518 5.675
Fe 1.295 3.597 13.719
Fe 3.749 1.543 9.707
B 0.242 2.412 5.534
B 0.454 6.527 13.584
B 1.172 2.092 11.099
B 1.053 4.026 3.072
B 2.745 0.365 1.501
B 2.963 4.472 9.557
B 3.893 4.157 15.105
B 3.768 6.086 7.077
O 0.294 4.938 3.823
O 0.443 3.005 11.885
O 0.595 7.311 10.200
O 0.418 3.191 2.152
O 1.086 7.373 14.491
O 0.876 3.254 6.441
O 1.000 1.485 4.801
O 1.217 5.604 12.849
O 1.384 0.462 1.281
O 1.599 4.574 9.337
O 2.415 3.929 3.287
O 2.546 1.986 11.265
O 3.149 5.060 15.871
O 3.043 6.994 7.854
O 3.095 5.261 6.168
O 3.233 3.335 14.186
O 3.383 1.203 2.411
O 3.603 5.308 10.467
O 3.723 3.550 8.822
O 3.593 5.491 0.758
O 4.112 2.514 5.313
O 4.326 6.630 13.355
O 5.257 4.041 15.295
O 5.134 5.968 7.247

3.
32
........

Deciding that she has seen more than enough Florabreeze shuffles away from the prey- rather the corpse. It's difficult to imagine this creature as once living and breathing, thriving even, under these conditions. It can't have been an apprentice, even the new ones would know better than to treat prey like this. She is hopeful for that at least, maybe she's wrong. Instead she turns to look at Twitchbolt, hopefully someone more experienced may have seen something as strange as this before.

There is concern that he hasn't though, so there is desire to seek him out both as friend and deputy. Someone who can guide, who can advise what their next steps should be. "I could... Keep an eye out for anyone who looks like they would eat sloppily on the way home tonight?" Her tone is light, a phantom of a chuckle on her breath. Her eyes show no mirth, only concern.

<<<
Record 1
Entry from the Materials Project database: crystalline Na3YMgP2SO12 at its relaxed geometry (PBE).

```
Na3YMgP2SO12
1.0
-3.863 -8.023 2.304
4.443 4.948 6.319
-19.421 10.930 5.503
P O Na S Y Mg
12 72 18 6 6 6
direct
0.302 0.010 0.251
0.994 0.298 0.255
0.971 0.631 0.088
0.969 0.344 0.585
0.709 0.010 0.751
0.660 0.631 0.588
0.327 0.965 0.922
0.635 0.677 0.918
0.638 0.965 0.422
0.375 0.344 0.085
0.304 0.298 0.755
0.042 0.677 0.418
0.476 0.173 0.244
0.312 0.458 0.466
0.645 0.124 0.133
0.885 0.530 0.144
0.456 0.315 0.030
0.160 0.477 0.255
0.686 0.546 0.535
0.509 0.659 0.581
0.146 0.458 0.966
0.879 0.363 0.639
0.817 0.993 0.415
0.827 0.810 0.589
0.865 0.515 0.421
0.151 0.696 0.472
0.526 0.879 0.368
0.028 0.196 0.915
0.684 0.125 0.028
0.552 0.864 0.478
0.312 0.864 0.978
0.484 0.363 0.139
0.493 0.143 0.922
0.645 0.530 0.644
0.650 0.143 0.422
0.501 0.863 0.081
0.859 0.315 0.530
0.353 0.879 0.868
0.219 0.197 0.811
0.151 0.659 0.081
0.199 0.182 0.088
0.983 0.182 0.588
0.317 0.477 0.755
0.018 0.792 0.694
0.863 0.332 0.922
0.484 0.326 0.748
0.469 0.332 0.422
0.978 0.197 0.311
0.789 0.981 0.696
0.363 0.506 0.078
0.479 0.124 0.633
0.650 0.515 0.921
0.809 0.839 0.911
0.175 0.993 0.915
0.530 0.666 0.255
0.351 0.458 0.361
0.107 0.458 0.861
0.030 0.839 0.411
0.695 0.530 0.248
0.019 0.212 0.202
0.860 0.546 0.035
0.817 0.030 0.805
0.212 0.030 0.305
0.697 0.173 0.744
0.123 0.648 0.363
0.774 0.792 0.194
0.317 0.849 0.254
0.812 0.791 0.299
0.197 0.999 0.588
0.192 0.981 0.196
0.802 0.999 0.088
0.983 0.810 0.089
0.842 0.326 0.248
0.546 0.696 0.972
0.979 0.791 0.799
0.525 0.648 0.863
0.136 0.666 0.755
0.362 0.863 0.581
0.441 0.125 0.528
0.168 0.196 0.415
0.143 0.506 0.578
0.835 0.530 0.748
0.532 0.849 0.754
0.193 0.212 0.702
0.668 0.964 0.577
0.672 0.314 0.326
0.296 0.964 0.077
0.998 0.352 0.745
0.976 0.981 0.493
0.331 0.018 0.412
0.687 0.018 0.912
0.354 0.352 0.245
0.963 0.298 0.410
0.335 0.298 0.910
0.630 0.631 0.744
0.309 0.647 0.159
0.664 0.685 0.078
0.021 0.685 0.578
0.642 0.314 0.826
0.338 0.647 0.659
0.001 0.631 0.244
0.005 0.981 0.993
0.325 0.364 0.417
0.373 0.031 0.583
0.658 0.031 0.083
0.706 0.698 0.250
0.039 0.364 0.917
0.992 0.698 0.750
0.339 0.681 0.817
0.008 0.014 0.650
0.675 0.347 0.983
0.005 0.014 0.150
0.342 0.681 0.317
0.672 0.347 0.483
0.324 0.661 0.017
0.657 0.328 0.683
0.337 0.661 0.517
0.991 0.995 0.350
0.671 0.328 0.183
0.004 0.995 0.850
```

The formation energy comes out at -2.770 eV/atom. Its total magnetization is 0.0 μB/cell.

Record 2
Entry from the Materials Project database: crystalline Na3Y2Mg2PS5O24 at its relaxed geometry (PBE).

```
Na3Y2Mg2PS5O24
1.0
8.946 0.000 0.000
4.467 7.770 0.000
0.078 0.070 23.409
Na Y Mg P S O
9 6 6 3 15 72
direct
0.000 0.000 0.000
0.006 0.640 0.749
0.014 0.277 0.494
0.307 0.300 0.332
0.342 0.965 0.416
0.367 0.970 0.916
0.646 0.308 0.575
0.657 0.309 0.077
0.991 0.643 0.249
0.000 0.642 0.100
0.004 0.640 0.401
0.017 0.635 0.600
0.672 0.306 0.729
0.685 0.306 0.229
0.998 0.642 0.899
0.330 0.974 0.267
>>>
-- Back to the entry --

  • FLORABREEZE 𖧧 She/her || Daylight Lead Warrior of SkyClan || 37 moons
    A large black tabby maine coon with low white and bright green eyes, always wearing her mushroom print collar if she can.
    Mentored by Sorrelsong /Mentoring Jellypaw & Sfogliatella
    “Speech”, thoughts, attacking
    Penned by Juice ⏐ouijeejuice on discord {open to being dmed for plots}